Search the lines underneath for the word "for" and quote each line that has it.

┌──
Starting from a GGA-PBE-relaxed structure, the XRD peak list of Th2S5 was calculated for copper Kα.

Largest 6 diffraction maxima, in order of rising 2θ, 10° ≤ 2θ ≤ 80°:
Position (°2θ)  d/Å  intensity
23.29  3.819  62
23.92  3.720  100
33.17  2.701  37
34.97  2.566  16
41.31  2.186  81
42.44  2.130  28

Cell: 7.6257 10.2639 7.6522 Å, 90.00 90.00 90.00°
Space group Pbcn (No. 60)
Unique sites:
Th1 0.2338 0.1461 0.0178 [8 per cell]
S1 0.0000 0.2491 0.7500 [4 per cell]
S2 0.0998 0.3980 0.1496 [8 per cell]
S3 0.1374 0.1084 0.3886 [8 per cell]

***

Starting from a GGA-PBE-relaxed structure, the XRD peak list of ThTl2S4 was calculated for copper Kα.

Largest 6 diffraction maxima, in order of rising 2θ, 10° ≤ 2θ ≤ 80°:
Position (°2θ)  d/Å  intensity
20.94  4.243  48
24.31  3.662  96
24.67  3.608  67
25.01  3.561  90
25.29  3.522  44
42.62  2.122  100

Cell: 8.2542 8.6872 12.0347 Å, 90.00 90.00 90.00°
Space group Imma (No. 74)
Unique sites:
Th1 0.0000 0.0000 0.0000 [4 per cell]
Tl1 0.0000 0.2500 0.3572 [4 per cell]
Tl2 0.2500 0.2500 0.7500 [4 per cell]
S1 0.0000 0.0438 0.7632 [8 per cell]
S2 0.2115 0.2500 0.0020 [8 per cell]

=====

# 1
# Li3PrBr6
Calculated X-ray diffraction stick pattern, Cu Kα, 1.54184 Å. Input: a crystal structure in Alexandria, relaxed with GGA-PBE.
Lines closer than 0.1° are merged.

Main lines, by angle (2θ = 15–90°):
Position (°2θ)	I (rel.)
19.11	38
23.05	19
25.71	21
27.43	29
28.97	70
30.15	44
32.47	16
37.95	100
38.77	28
49.88	21
57.95	21
69.65	27

Cell and atoms:
Cell lengths 8.292, 8.292, 4.645 Å; angles 90.00, 90.00, 113.41 degrees
Element x y z (fractional)
Li (0.000, 0.000, 0.000)
Li (0.000, 0.500, 0.500)
Li (0.500, 0.000, 0.500)
Pr (0.500, 0.500, 0.000)
Br (0.083, 0.333, 0.000)
Br (0.333, 0.083, 0.000)
Br (0.359, 0.641, 0.500)
Br (0.641, 0.359, 0.500)
Br (0.667, 0.917, 0.000)
Br (0.917, 0.667, 0.000)


# 2
# Ac2La2Er5
Calculated X-ray diffraction stick pattern, Cu Kα, 1.54184 Å. Input: a crystal structure in Alexandria, relaxed with GGA-PBE.
Lines closer than 0.1° are merged.

Main lines, by angle (2θ = 15–90°):
Position (°2θ)	I (rel.)
29.48	100
29.72	79
30.11	74
32.13	61
35.53	61
48.40	24
48.91	21
50.57	19
51.69	24
59.76	22
59.98	21
61.19	20

Cell and atoms:
Cell lengths 10.124, 10.124, 8.946 Å; angles 95.44, 95.44, 20.54 degrees
Element x y z (fractional)
Ac (0.169, 0.169, 0.485)
Ac (0.831, 0.831, 0.515)
La (0.398, 0.398, 0.176)
La (0.602, 0.602, 0.824)
Er (0.000, 0.000, 0.500)
Er (0.061, 0.061, 0.149)
Er (0.276, 0.276, 0.846)
Er (0.724, 0.724, 0.154)
Er (0.939, 0.939, 0.851)


# 3
# CaLaBiTe
Calculated X-ray diffraction stick pattern, Cu Kα, 1.54184 Å. Input: a crystal structure in Alexandria, relaxed with GGA-PBE.
Lines closer than 0.1° are merged.

Main lines, by angle (2θ = 15–90°):
Position (°2θ)	I (rel.)
22.38	9
23.42	12
27.20	100
38.63	40
39.07	38
47.89	21
56.11	13
63.14	19
63.76	18
70.20	14
89.19	8
89.74	7

Cell and atoms:
Cell lengths 7.959, 7.959, 7.959 Å; angles 34.05, 34.05, 34.05 degrees
Element x y z (fractional)
Ca (0.000, 0.000, 0.000)
La (0.495, 0.495, 0.495)
Bi (0.748, 0.748, 0.748)
Te (0.249, 0.249, 0.249)


# 4
# Ce2DyPN5
Calculated X-ray diffraction stick pattern, Cu Kα, 1.54184 Å. Input: a crystal structure in Alexandria, relaxed with GGA-PBE.
Lines closer than 0.1° are merged.

Main lines, by angle (2θ = 15–90°):
Position (°2θ)	I (rel.)
25.05	28
30.78	16
31.85	100
34.78	40
39.23	16
44.09	20
44.92	25
51.42	15
55.44	14
56.80	14
61.10	11
62.92	12

Cell and atoms:
Cell lengths 6.496, 6.496, 5.611 Å; angles 90.00, 90.00, 90.00 degrees
Element x y z (fractional)
Ce (0.178, 0.322, 0.000)
Ce (0.322, 0.822, 0.000)
Ce (0.678, 0.178, 0.000)
Ce (0.822, 0.678, 0.000)
Dy (0.000, 0.000, 0.500)
Dy (0.500, 0.500, 0.500)
P (0.000, 0.500, 0.500)
P (0.500, 0.000, 0.500)
N (0.000, 0.000, 0.000)
N (0.135, 0.635, 0.284)
N (0.135, 0.635, 0.716)
N (0.365, 0.135, 0.284)
N (0.365, 0.135, 0.716)
N (0.500, 0.500, 0.000)
N (0.635, 0.865, 0.284)
N (0.635, 0.865, 0.716)
N (0.865, 0.365, 0.284)
└──

Starting from a GGA-PBE-relaxed structure, the XRD peak list of Th2S5 was calculated for copper Kα.
Starting from a GGA-PBE-relaxed structure, the XRD peak list of ThTl2S4 was calculated for copper Kα.